Wheel Of Fortune 1980s

Wheel of Fortune This version airs in syndication and is hosted by Pat Sajak, who was also one of the hosts on the original daytime version. The nighttime Wheel was the first game show in syndication to be stripped as a five-night-a-week series during prime time access. (7 PM and 7:30 PM Eastern). 1 day ago Sajak is, of course, well known as the host of the game show “Wheel of Fortune” since the early 1980s. The ad claimed “Pat Sajak’s Net Worth Left His Family in Tears,” and the accompanying picture.

  • Wheel of Fortune (not to be confused with the Merv Griffin-created show of the same name) was a short-lived daytime and primetime game show where people who have done good deeds were rewarded. 1 Gameplay 2 Model 3 Australian Version 4 Trivia 5 Studio 6 Music To be eligible as a contestant on this show, a person must have done a good deed. Heroes, good Samaritans and other benefactors received.
  • Sajak is, of course, well known as the host of the game show “Wheel of Fortune” since the early 1980s. The ad claimed “Pat Sajak’s Net Worth Left His Family in Tears,” and the accompanying picture.

We often share some exceptional giveaways at Motor1.com, including some impressive automobiles. If you've ever wondered what happens after you win such a price, we've got a first-hand report from former Wheel of Fortune winner John Dean. He won the Mazda pickup pictured above way back in the 1980s, and while various contests can have different rules and requirements, Mr. Dean explains to us the process he went through to keep his truck and a bevy of other prices after his appearance on the show.

What's it like winning a car? It can be a pain from a tax standpoint, but it’s actually not so bad.

I was on Wheel of Fortune in the mid-1980s, back when you weren’t allowed to keep the money you won on the show; you had to “spend” it on their in-studio showcase items. Thus, you only got prizes.

My run on Wheel lasted three days, as the winner back then was invited back to compete on the next day’s show. On my second day, the grand prize was a new car. Actually, you were allowed to choose which grand prize you wanted to play for, so I picked the car. I solved the phrase “Even-Tempered” and won a 1986 Mazda SE-5 pickup.

...Vanna white wheel of fortune 1980sWheel

The above photo is a grainy screenshot from the old VHS tape of when I was on the show. Vanna is directing me to the driver’s seat, and Pat Sajak is quietly setting my lav mic down on the floor. My then-girlfriend, and now wife of 33 years, is on the other side of the car.

-- begin --
CsHgAu: simulated powder diffraction line list (Cu Kα (weighted mean of Kα1 and Kα2)), based on a GGA-PBE-relaxed structure.
Peak positions follow from Bragg's law for the DFT cell and can differ from measured ones.

Top 8 peaks for 10° ≤ 2θ ≤ 90°, sorted by position:
2θ/deg  I (rel.)  hkl
16.06  55.4  1 1 0
25.52  88.5  2 0 1
28.00  100.0  2 1 1
34.48  68.6  2 2 1
43.38  80.9  3 2 1
48.07  60.3  4 0 1
60.49  40.1  4 1 3
64.27  29.2  5 2 0

Cell and atoms:
a b c (Å): 7.805 7.805 7.805
angles (deg): 90.00 90.00 90.00
Sites, in units of the cell vectors:
1 Cs 0.087 0.087 0.087
2 Cs 0.413 0.913 0.587
3 Cs 0.587 0.413 0.913
4 Cs 0.913 0.587 0.413
5 Hg 0.079 0.579 0.921
6 Hg 0.421 0.421 0.421
7 Hg 0.579 0.921 0.079
8 Hg 0.921 0.079 0.579
9 Au 0.180 0.320 0.680
10 Au 0.320 0.680 0.180
11 Au 0.680 0.180 0.320
12 Au 0.820 0.820 0.820

* * * * *

No. 1
The following is a simulated X-ray diffraction stick pattern of Li4Nb5V3O16. It was derived from DFT lattice parameters and positions (PBE+U), using Cu Kα.

Largest 8 diffraction maxima, sorted by position, 2θ = 10–90°:
2θ = 17.6°, rel. 55
2θ = 19.0°, rel. 100
2θ = 19.1°, rel. 87
2θ = 24.4°, rel. 38
2θ = 31.6°, rel. 60
2θ = 34.4°, rel. 62
2θ = 35.3°, rel. 59
2θ = 57.7°, rel. 35

Structure:
```
Li4Nb5V3O16
1.0
5.2802 -3.0257 0.0000
5.2802 3.0257 0.0000
-0.0280 0.0000 10.0685
Li Nb V O
4 5 3 16
direct
0.0000 0.0000 0.0000
0.0039 0.0039 0.5042
0.3365 0.3365 0.5842
0.6706 0.6706 0.0997
0.1809 0.1809 0.2683
0.3481 0.3481 0.9976
0.3776 0.8145 0.7773
0.6772 0.6772 0.4937
0.8145 0.3776 0.7773
0.1744 0.6636 0.2795
0.6636 0.1744 0.2795
0.8306 0.8306 0.7776
0.0035 0.0035 0.6875
0.0102 0.0102 0.1828
0.0391 0.4795 0.1461
0.1743 0.1743 0.8998
0.1752 0.6672 0.8966
0.3281 0.3281 0.3923
0.3434 0.8460 0.3946
0.4795 0.0391 0.1461
0.4789 0.4789 0.1381
0.5175 0.5175 0.6338
0.5174 0.9637 0.6449
0.6672 0.1752 0.8966
0.6810 0.6810 0.9119
0.8361 0.8361 0.4021
0.8460 0.3434 0.3946
0.9637 0.5174 0.6449
```

No. 2
The following is a simulated X-ray diffraction stick pattern of Li4NbV3O8. It was derived from DFT lattice parameters and positions (PBE+U), using Cu Kα.

Largest 8 diffraction maxima, sorted by position, 2θ = 10–90°:
2θ = 17.3°, rel. 100
2θ = 36.6°, rel. 40
2θ = 38.1°, rel. 13
2θ = 43.4°, rel. 74
2θ = 47.1°, rel. 17
2θ = 55.9°, rel. 12
2θ = 61.0°, rel. 23
2θ = 65.0°, rel. 19

Structure:
```
Li4NbV3O8
1.0
2.8693 1.6566 5.1154
-2.8693 1.6566 5.1154
0.0000 -3.3132 5.1154
Li Nb V O
4 1 3 8
direct
0.0000 0.0000 0.0000
0.0000 0.5000 0.5000
0.5000 0.0000 0.5000
0.5000 0.5000 0.0000
0.5000 0.5000 0.5000
0.0000 0.0000 0.5000
0.0000 0.5000 0.0000
0.5000 0.0000 0.0000
0.2424 0.2424 0.2424
0.2417 0.7523 0.7523
0.2477 0.2477 0.7583
0.2477 0.7583 0.2477
0.7523 0.2417 0.7523
0.7523 0.7523 0.2417
0.7583 0.2477 0.2477
0.7576 0.7576 0.7576
```

No. 3
The following is a simulated X-ray diffraction stick pattern of Li3NbV3O8. It was derived from DFT lattice parameters and positions (PBE+U), using Cu Kα.
-- stop --

The Next Winner Could Be You:

We contestants were informed well ahead of time that we were responsible for any and all income taxes that were owed based on the stated value of any prize we won. The car itself was valued by the game show people at around $7,800, which was close to the full MSRP for that model in 1986, believe it or not.


Wheel Of Fortune (U.S. Game Show) - Wikipedia, The Free ...

So what about the process was a pain? Very little, other than dealing with the taxes. This is how it went for me:

Merv Griffin Productions reported its stated value of the car (and all of my other winnings) to both the California Franchise Tax Board and to the IRS. My total take-home from all of the prizes I won (furniture, exercise equipment, console TV, cases of Rice-a-Roni, but no cash) was $23,321. So from a tax standpoint, even though as a recent college graduate I’d only earned about $4,000 of actual W-2 wages for that year, my total income as far as the tax collectors were concerned was just shy of $28,000. And without any cash winnings, and with very little income, I had to figure out how to pay the tax bill.

Game Show

You’re allowed by IRS rules to use the fair market value of any prize you win instead of what the game show says it’s worth. Game shows notoriously inflate a prize’s value, so I spent a good week or two looking around for those same (or similar) items in stores and catalogs. This was pre-internet, so I was calling around, talking to salespeople and retail managers. I then had to itemize the entire list with the prices I was given by the retailers. This lowered my overall total winnings to around $15,000, fair market value.

Wheel Of Fortune (American Game Show) - Wikipedia

I filed my taxes in April, using the lower value total with my itemized list, and paid the $2,100 tax bill by borrowing from a bank using my new car as collateral. The IRS did wind up questioning me in a correspondence letter later that year, so I had to respond with another copy of my itemized list and my own letter of explanation, and they were satisfied with that. Two years later, I’d paid the loan off, and I finally owned everything free and clear.

Wheel Of Fortune Episodes 1980s

Feeling Lucky?

What wasn’t a hassle? Getting the car itself.

Unrelated to this page: calculated crystals >
┌──
Record 1
Calculated XRD peak list of InGaGeCl6 for Cu Kα, from a crystal structure in Alexandria, relaxed with GGA-PBE.
Intensities are scaled so that the largest is 100.

Atomic structure:
```
data_InGaGeCl6
_space_group_name_H-M_alt 'P 3 1 2'
_space_group_IT_number 149
_space_group_name_Hall 'P 3 2'
_cell_length_a 6.6869
_cell_length_b 6.6869
_cell_length_c 6.9552
_cell_angle_alpha 90.00
_cell_angle_beta 90.00
_cell_angle_gamma 120.00
loop_
_atom_site_label
_atom_site_type_symbol
_atom_site_fract_x
_atom_site_fract_y
_atom_site_fract_z
_atom_site_occupancy
In1 In 0.0000 0.0000 0.0000 1
Ga1 Ga 0.6667 0.3333 0.5000 1
Ge1 Ge 0.3333 0.6667 0.5000 1
Cl1 Cl 0.3837 0.0324 0.7025 1
```

Most intense lines, 2θ = 10–90°, by angle:
20.0 deg, intensity 100, hkl 1 0 1; 29.6 deg, intensity 27, hkl 2 -1 1; 33.5 deg, intensity 21, hkl 2 0 1; 37.3 deg, intensity 65, hkl 2 -1 2; 43.3 deg, intensity 28, hkl 3 -1 1; 47.1 deg, intensity 23, hkl 3 0 0


Record 2
Calculated XRD peak list of GaGePCl2 for Cu Kα, from a crystal structure in Alexandria, relaxed with GGA-PBE.
Intensities are scaled so that the largest is 100.

Atomic structure:
```
data_GaGePCl2
_space_group_name_H-M_alt 'P 4/m m m'
_space_group_IT_number 123
_space_group_name_Hall '-P 4 2'
_cell_length_a 4.7487
_cell_length_b 4.7487
_cell_length_c 5.0047
_cell_angle_alpha 90.00
_cell_angle_beta 90.00
_cell_angle_gamma 90.00
loop_
_atom_site_label
_atom_site_type_symbol
_atom_site_fract_x
_atom_site_fract_y
_atom_site_fract_z
_atom_site_occupancy
Ga1 Ga 0.0000 0.0000 0.0000 1
Ge1 Ge 0.5000 0.5000 0.5000 1
P1 P 0.0000 0.0000 0.5000 1
Cl1 Cl 0.0000 0.5000 0.0000 1
```

Most intense lines, 2θ = 10–90°, by angle:
25.9 deg, intensity 100, hkl 1 0 1; 32.1 deg, intensity 46, hkl 1 1 1; 35.9 deg, intensity 48, hkl 0 0 2; 37.9 deg, intensity 83, hkl 2 0 0; 46.5 deg, intensity 42, hkl 2 1 1; 53.2 deg, intensity 58, hkl 2 0 2


Record 3
Calculated XRD peak list of RbGaGe2Cl8 for Cu Kα, from a crystal structure in Alexandria, relaxed with GGA-PBE.
Intensities are scaled so that the largest is 100.

Atomic structure:
```
data_RbGaGe2Cl8
_space_group_name_H-M_alt 'P -1'
_space_group_IT_number 2
_space_group_name_Hall '-P 1'
_cell_length_a 6.3160
_cell_length_b 7.2167
_cell_length_c 9.0926
_cell_angle_alpha 78.89
_cell_angle_beta 81.73
_cell_angle_gamma 83.40
loop_
_atom_site_label
_atom_site_type_symbol
_atom_site_fract_x
_atom_site_fract_y
_atom_site_fract_z
_atom_site_occupancy
Rb1 Rb 0.0000 0.0000 0.0000 1
Ga1 Ga 0.0000 0.0000 0.5000 1
Ge1 Ge 0.4837 0.3957 0.2550 1
Cl1 Cl 0.1525 0.7567 0.7179 1
Cl2 Cl 0.1771 0.8337 0.3320 1
Cl3 Cl 0.3050 0.2070 0.4754 1
Cl4 Cl 0.4389 0.2359 0.0660 1
```

Most intense lines, 2θ = 10–90°, by angle:
14.6 deg, intensity 53, hkl 0 1 1; 18.1 deg, intensity 100, hkl 1 1 0; 19.9 deg, intensity 66, hkl 1 -1 0; 21.7 deg, intensity 37, hkl 0 1 2; 25.6 deg, intensity 54, hkl 0 1 -2; 34.9 deg, intensity 32, hkl -1 2 2


Record 4
└──
Here the page continues >

About a month after the show aired, I got a phone call from the local Mazda dealership saying my car was ready for delivery. I hopped on my bike and rode the three miles down to the Mazda dealer in Torrance, California, signed a couple of title papers, and within maybe 10 minutes, they handed me the keys. I walked out, loaded my bike into the back of the truck, and drove back home with my brand new car. It was pretty surreal.

Wheel Of Fortune 1980s Showroom

By the way, the game show producers gave us three full days to decline any prizes we didn’t want to keep. So if we didn’t want to deal with the taxes, or if we wanted to keep the tax bill down, we’d simply say we didn’t want the stuff. I kept everything, because, well, why not? For just $2,100 in taxes I got some very nice hand-crafted furniture, a stereo console TV (big stuff in the ‘80s), a home gym set, and a whole bunch of things I never would’ve considered buying for myself. And the car! When my wife and I were married in 1987, those prizes helped furnish our first apartment, and, by the way, we both had cars that were fully paid for. In fact, we still have several of those nice pieces in our current home, all these years later. The pickup truck lasted until 2002. Not bad!

Merv Griffin

WOF (1980) Mazel Bob Kevin - video Dailymotion

So yes, the taxes can be a pain, but for me, they were offset by the benefits of having the car itself.

## Calculated crystals from another source follow
<<<
No. 1
This entry pairs a crystal structure of Mn3ZnC with its simulated PXRD pattern. Radiation: Cu Kα (weighted mean of Kα1 and Kα2). Structure: a crystal structure in the Materials Project, relaxed with PBE.
Peak positions follow from Bragg's law for the DFT cell and can differ from measured ones.

Main lines, by angle (10 to 80 degrees two-theta):
2θ (°)	Rel. int.
32.7	4
40.3	100
46.9	55
58.3	1
68.5	32

Structure:
```
5
Lattice="3.8755 0.0000 0.0000 0.0000 3.8755 0.0000 0.0000 0.0000 3.8755" Properties=species:S:1:pos:R:3 pbc="T T T"
Mn 0.0000 0.0000 1.9378
Mn 0.0000 1.9378 0.0000
Mn 1.9378 0.0000 0.0000
Zn 1.9378 1.9378 1.9378
C 0.0000 0.0000 0.0000
```

---

No. 2
This entry pairs a crystal structure of Mo3Os2 with its simulated PXRD pattern. Radiation: Cu Kα (weighted mean of Kα1 and Kα2). Structure: a crystal structure in the Materials Project, relaxed with PBE.
Peak positions follow from Bragg's law for the DFT cell and can differ from measured ones.

Main lines, by angle (10 to 80 degrees two-theta):
2θ (°)	Rel. int.
20.1	31
36.1	26
38.4	86
39.5	33
40.8	23
41.9	64
42.6	100
43.7	57
45.1	14
47.1	19
69.4	23
73.8	17

Structure:
```
30
Lattice="6.8334 -6.8482 0.0000 6.8334 6.8482 0.0000 0.0000 0.0000 4.9779" Properties=species:S:1:pos:R:3 pbc="T T T"
Mo 4.5712 4.0579 4.9763
Mo 6.8334 5.4258 0.0000
Mo 4.0802 2.2796 2.4819
Mo 2.4728 0.0000 3.7387
Mo 2.4901 0.0000 1.2400
Mo 6.8334 2.4787 3.7263
Mo 9.0957 4.0579 4.9763
Mo 5.4252 0.0000 2.4905
Mo 4.0802 -2.2796 2.4819
Mo 9.5867 2.2796 2.4819
Mo 8.2417 0.0000 2.4905
Mo 4.5712 -4.0579 4.9763
Mo 6.8334 -2.4787 3.7263
Mo 11.1768 0.0000 1.2400
Mo 11.1941 0.0000 3.7387
Mo 9.5867 -2.2796 2.4819
Mo 6.8334 -5.4258 0.0000
Mo 9.0957 -4.0579 4.9763
Os 0.0000 0.0000 2.4785
Os 5.4989 4.5746 2.4778
Os 4.5777 1.3561 0.0055
Os 8.1679 4.5746 2.4778
Os 6.8334 2.4804 1.2393
Os 4.5777 -1.3561 0.0055
Os 6.8334 0.0000 0.0046
Os 9.0892 1.3561 0.0055
Os 6.8334 -2.4804 1.2393
Os 5.4989 -4.5746 2.4778
Os 9.0892 -1.3561 0.0055
Os 8.1679 -4.5746 2.4778
```


# 1
This entry pairs a crystal structure of H4Pd2RhPb with its computed XRD peak list. Radiation: λ = 1.5418 Å (Cu Kα). Structure: the PBE geometry in Alexandria.
Intensities are scaled so that the largest is 100.

Atomic structure:
```
H4Pd2RhPb
1.0
-2.234 2.234 4.354
2.234 -2.234 4.354
2.234 2.234 -4.354
H Pd Rh Pb
4 2 1 1
Direct
0.176 0.176 0.677
0.500 0.500 0.323
0.500 0.824 0.000
0.824 0.500 0.000
0.250 0.750 0.500
0.750 0.250 0.500
0.500 0.500 0.000
0.000 0.000 0.000
```

Peak list (6 most intense, 2θ = 10–90°, sorted by position)
| 2theta | I (rel.) |
| --- | --- |
| 35.1 | 100 |
| 40.4 | 34 |
| 41.5 | 16 |
| 59.3 | 22 |
| 70.0 | 27 |
| 71.5 | 13 |

# 2
This entry pairs a crystal structure of Ce2GaSi3 with its computed XRD peak list. Radiation: λ = 1.5418 Å (Cu Kα). Structure: the PBE geometry in Alexandria.
Intensities are scaled so that the largest is 100.

Atomic structure:
```
Ce2GaSi3
1.0
4.117 0.000 0.000
0.000 4.159 0.000
0.000 0.000 7.106
Ce Ga Si
2 1 3
>>>

Special thanks to John Dean for sharing his story and the VHS capture of that memorable day.